Android Auto

How Google Is Anti-employment Anti-property & Pro-regulation

Google’s unprecedented Obama Administration influence and its self-serving anti-employment, anti-property, and pro-regulatory policy agenda, are on a collision course with the job-creating, pro-property, deregulatory Trump Administration growth agenda.

Keep watch to see who adapts to whom and how.

I.  Google’s Unprecedented Lobbying Influence

Current Alphabet-Google Chairman Eric Schmidt enjoys the privilege of being the only corporate leader of a publicly-traded company on the President’s nineteen member Council of Advisors on Science and Technology.

7 Top Takeaways from EU’s Google-Android-Tying Charges

The European Commission has charged Alphabet-Google with abusing its dominance in the market for “general Internet search services,” by implementing an Android “strategy of mobile devices to preserve and strengthen its dominance in general Internet search.” The EU objects to a variety of secret Google contract conditions to manufacturer licenses to leverage the dominant (>90% share) Android OS to secretly restrict and foreclose competition in ways that ultimately harm consumer choice and innovation. The EU effectively charged that Google has already anticompetitively extended its >90% dominance in search to dominance in the >90% share of the “licensable smart mobile operating system,” and to dominance in the >90% share of the “app stores for the Android” market.  

Search + Android + Chrome = Google’s Gatekeeper Inner-net Regime

Wake up world, you’ve been disintermediated.

Google now essentially stands between you and most everyone and everything on the Internet.

### Inserted here: records of molecules
--- 1 ---
Computed, not measured: a cluster of 2 separate species, C9H14 in total, with wB97M-V/def2-TZVPD.

Computed properties:
Charge   +1
Gap between HOMO and LUMO (alpha / beta)   9.501 / 5.906 eV
E_HOMO (alpha / beta)   -14.1 / -14.1 eV
⟨S²⟩   0.77
2S+1   2

Cartesian coordinates (Å):
C  -3.313  -1.187  0.360
C  -2.964  -0.916  1.808
H  -3.344  -0.298  -0.272
H  -2.570  -1.877  -0.037
H  -4.296  -1.644  0.243
H  -2.878  -1.841  2.385
H  -3.710  -0.365  2.381
H  -1.978  -0.458  1.915
C  1.555  -0.527  -2.509
C  0.918  1.416  -1.049
C  1.660  0.190  -1.220
C  1.025  2.089  0.130
C  1.746  1.591  1.241
C  2.432  -0.305  -0.137
C  2.360  0.302  1.075
H  0.488  1.941  -1.835
H  0.481  3.012  0.285
H  0.634  -1.113  -2.516
H  2.421  -1.134  -2.738
H  2.071  2.246  2.037
H  2.978  -1.232  -0.194
H  2.871  -0.116  1.933
H  1.416  0.226  -3.286

***

--- 2 ---
Computed, not measured: a cluster of 2 separate species, C9H14 in total, with wB97M-V/def2-TZVPD.

Computed properties:
Charge   +1
Gap between HOMO and LUMO (alpha / beta)   10.142 / 6.128 eV
E_HOMO (alpha / beta)   -14.6 / -14.5 eV
⟨S²⟩   0.77
2S+1   2

Cartesian coordinates (Å):
C  -2.250  0.312  -0.441
C  1.394  1.106  -0.999
C  1.619  0.454  -2.291
C  0.107  0.894  -0.357
C  -0.909  0.174  -1.089
C  0.715  -0.486  -2.795
C  -0.564  -0.549  -2.137
H  2.323  1.659  -0.585
H  2.604  0.736  -2.823
H  -0.094  1.271  0.612
H  0.730  -1.148  -3.728
H  -2.664  -0.699  -0.254
H  -2.721  0.809  -1.246
H  -1.171  -1.265  -2.586
H  -2.109  0.840  0.487
C  -0.426  -0.701  2.547
C  1.110  -0.374  2.663
H  -0.738  -1.600  2.911
H  -0.952  0.145  2.851
H  -0.572  -0.699  1.383
H  1.633  -0.606  3.640
H  1.319  0.799  2.302
H  1.618  -1.071  1.936

***

--- 3 ---
Computed, not measured: a cluster of 2 separate species, C9H14 in total, with wB97M-V/def2-TZVPD.

Computed properties:
Charge   +1
Gap between HOMO and LUMO (alpha / beta)   9.687 / 5.937 eV
E_HOMO (alpha / beta)   -14.1 / -14.1 eV
⟨S²⟩   0.77
2S+1   2

Cartesian coordinates (Å):
C  -1.230  -3.050  0.584
C  1.321  -0.581  -0.715
C  0.669  -1.406  0.165
C  0.684  -0.187  -1.893
C  -0.576  -2.013  -0.233
C  -0.646  -0.638  -2.200
C  -1.192  -1.626  -1.454
H  2.336  -0.410  -0.422
H  1.090  -1.586  1.146
H  1.257  0.346  -2.632
H  -1.139  -0.237  -3.070
H  -0.619  -3.638  1.269
H  -1.738  -3.726  -0.098
H  -2.085  -2.132  -1.795
H  -1.944  -2.590  1.275
C  0.666  2.815  0.543
C  0.298  3.128  1.996
H  0.352  3.627  -0.114
H  1.645  2.375  0.343
H  0.063  1.973  0.175
H  -0.044  2.228  2.491
H  -0.363  3.982  2.058
H  1.195  3.345  2.579

***

Energies relative to the most stable structure, in kJ/mol: 1 0.0; 2 185.0; 3 16.3.

=====

ORCA calculation (ωB97M-V/def2-TZVPD) on a molecular structure, C30H51InNP2 at a distorted geometry.

HOMO level: -9.54 eV
HOMO-LUMO gap: 4.8747 eV
Charge: +1

Last column: Mulliken charge in e.
Element x y z (Å)
H1 -5.553 -1.635 1.617  0.5042
H2 0.303 1.376 -2.433  0.7646
H3 -3.567 -1.309 -7.255  0.3462

Google’s dominant search engine + its dominant Android operating system (OS) + its world-leading Chrome web browser + its uniquely-comprehensive, Internet utility functionality of 193 products, services and tools = a virtual Google “Inner-net” regime.

Google’s Inner-net has practically assimilated most all of what the public open-source WorldWideWeb does for Internet users and much, much, more. And it also has practically insinuated Google-controlled code into a virtual intermediary position between most everyone and most everything on the Internet.

Google Buys Jibe to Force Android as Web’s Default Means of Communications

[Molecular data that have nothing to do with the page]
- - -
234
Properties=species:S:1:pos:R:3:forces:R:3 method="wB97M-V/def2-TZVPD" spin_multiplicity=1 gap_ha=0.3086 e_homo_ev=-8.25 smiles="CN(C)P(=O)(N(C)C)N(C)C.CN(C)P(=O)(N(C)C)N(C)C.CN(C)P(=O)(N(C)C)N(C)C.CN(C)P(=O)(N(C)C)N(C)C.CN(C)P(=O)(N(C)C)N(C)C.CN(C)P(=O)(N(C)C)N(C)C.OCCO.OCCO.OCCO.OCCO.OCCO.OCCO"
C -3.337110 -1.989338 -2.129204 1.343 2.906 0.845
N -4.390520 -2.558339 -2.864098 -0.508 -2.438 -0.709
C -4.340293 -4.008113 -2.717383 0.947 -1.429 0.068
P -5.930246 -2.068964 -2.583428 -0.637 0.881 0.549
O -6.407045 -2.257608 -1.207744 -0.410 -0.102 0.505
N -5.791128 -0.485745 -2.996308 0.187 1.890 -1.036
C -4.714145 0.204162 -3.716464 -0.325 -0.609 -0.386
C -6.816785 0.489088 -2.718497 -0.916 0.158 2.064
N -6.916209 -2.870906 -3.631478 0.632 0.746 0.247
C -6.693221 -2.874239 -5.039671 1.119 0.274 -0.617
C -7.873937 -3.820398 -3.184472 -0.998 -0.855 -0.991
H -2.831987 -2.652242 -1.450848 0.338 -0.719 -0.087
H -3.662685 -1.198776 -1.411301 -0.037 -0.174 -0.726
H -2.635298 -1.518641 -2.850856 0.037 -0.421 0.822
H -4.556302 -4.381735 -1.708836 -0.468 0.398 0.108
H -3.326360 -4.412653 -2.859173 -0.092 0.560 -0.426
H -4.966433 -4.535390 -3.418739 -0.378 -0.009 -0.263
H -5.116992 0.821114 -4.525995 -0.179 -0.352 -0.229
H -4.130656 0.925567 -3.144891 -0.037 -0.182 0.749
H -4.055577 -0.547221 -4.106301 0.472 -0.124 -0.469
H -7.470155 0.186395 -1.866966 0.424 -0.064 -0.681
H -6.327597 1.395428 -2.376449 0.214 0.257 0.273
H -7.455620 0.847242 -3.518266 -0.051 -0.564 -0.735
H -6.121110 -3.776058 -5.322521 0.176 0.319 -0.158
H -7.617867 -2.955212 -5.586153 -0.583 0.219 -0.146
H -6.162419 -1.944763 -5.363064 -0.322 -0.808 0.196
H -7.697204 -4.827986 -3.615936 0.275 0.249 0.392
H -8.842845 -3.533628 -3.603332 -0.248 0.003 0.226
H -7.935115 -3.854128 -2.120556 0.041 -0.057 0.661
C -1.481408 -1.434180 6.253003 0.828 -0.092 -0.284
N -2.311178 -0.788545 5.258826 -0.172 -1.329 -0.552
C -2.388245 0.631431 5.336665 -0.606 1.195 -0.819
P -3.445680 -1.738895 4.443134 0.665 -0.005 -0.670
O -3.264006 -3.191849 4.608122 0.297 -0.127 0.886
N -4.958999 -1.249862 4.807893 -1.608 0.768 -1.151
C -5.794194 -1.984044 5.742180 1.282 0.985 1.051
C -5.574238 -0.046699 4.206419 0.282 0.387 1.449
N -3.302779 -1.253874 2.873859 -0.883 0.834 -0.774
C -4.147331 -1.861825 1.825474 1.120 -1.245 0.054
C -2.063011 -0.966516 2.252519 2.186 0.667 -0.533
H -0.484087 -0.947931 6.310398 -0.390 -0.174 -0.245
H -1.336892 -2.489880 5.965303 -0.170 0.457 0.383
H -1.907593 -1.333043 7.245066 -0.186 -0.262 0.391
H -1.395002 1.096803 5.225678 -0.095 -0.218 0.180
H -2.841535 0.995028 6.275127 0.099 -0.075 -0.144
H -2.988237 1.044620 4.482283 0.449 -0.403 0.758
H -6.765086 -2.263052 5.422306 -0.990 -0.020 -1.006
H -5.275165 -2.906640 5.967243 0.100 -0.069 0.495
H -5.932443 -1.311326 6.615816 0.020 -0.753 0.020
H -4.843746 0.535175 3.646734 -0.050 -0.241 -0.031
H -6.421662 -0.246355 3.555950 -0.113 -0.368 -0.069
H -5.930252 0.609184 5.039409 0.082 -0.354 -0.533
- - -

Don’t miss the sweeping antitrust, privacy, security, and EU-U.S. Data Safe Harbor ramifications of Google-Android’s power grab and highly-strategic acquisition last week of Jibe Mobile’s “Rich Communications Suite” (RCS), the world’s leading, mobile-carrier, messaging platform/standard.


Simply, Google has just acquired the single missing strategic piece holding Google back from being able to centralize the recording, data transfer and analysis of most global mobile communications like it has already centralized the collection, data transfer, and indexing of the world’s digital information.